Wednesday 3 February 2016

Dance to the music....

Hi Everybody!

For Art Journal Journey, If music be the food of love, I have 
a hybrid page today, made from a mix of a dancer, music and a photo of one of the lakes near here as background.

I discovered these wonderful fungi growing on a tree stump. Last week there was nothing there, on Monday they were visible as little yellow spots, and today they are growing really big - a variation on Jack and the Beanstalk?

Fairy steps:

Sorry, just a short post as it was a hard day  today,

Have a great day, take care,
and thanks a lot for coming by!

Tuesday 2 February 2016

Life, love, hope

(Materials data, kept here for reference)
'''
Computed, not measured: KBe2Si after structural relaxation at the PBE level of DFT.

The calculation puts the magnetic moment at 0.00 μB/atom. As for the uncorrected formation energy: 2.01 eV/f.u.

It has space group Cm (No. 8), with a = 8.0376 Å, b = 2.6052 Å, c = 6.9579 Å, α = 90.00°, β = 96.49° and γ = 90.00°. Symmetry generates all atoms from K at (0.0000, 0.0000, 0.0000), Be at (0.0091, 0.5000, 0.4874), Be at (0.2951, 0.5000, 0.3706) and Si at (0.2284, 0.0000, 0.6377).



Computed, not measured: KBe2Si after structural relaxation at the PBE level of DFT.

The calculation puts the magnetic moment at 0.00 μB/atom. As for the uncorrected formation energy: 2.96 eV/f.u.

It has space group Imm2 (No. 44), with a = 2.5418 Å, b = 5.9362 Å, c = 10.0118 Å, α = 90.00°, β = 90.00° and γ = 90.00°. Symmetry generates all atoms from K at (0.0000, 0.0000, 0.0000), Be at (0.0000, 0.0000, 0.5031), Be at (0.0000, 0.5000, 0.8257) and Si at (0.0000, 0.5000, 0.1961).



Computed, not measured: KBe2Si after structural relaxation at the PBE level of DFT.

The calculation puts the magnetic moment at 0.00 μB/atom. As for the uncorrected formation energy: 3.87 eV/f.u.

It has space group R-3m (No. 166, hexagonal axes), with a = 2.7944 Å, b = 2.7944 Å, c = 28.1815 Å, α = 90.00°, β = 90.00° and γ = 120.00°. Symmetry generates all atoms from K at (0.0000, 0.0000, 0.0000), Be at (0.0000, 0.0000, 0.2321) and Si at (0.0000, 0.0000, 0.5000).



Computed, not measured: K2BeSiSn after structural relaxation at the PBE level of DFT.

The calculation puts the magnetic moment at 0.00 μB/atom. As for the uncorrected formation energy: 1.95 eV/f.u.

It has space group P4/mmm (No. 123), with a = 6.2643 Å, b = 6.2643 Å, c = 4.0962 Å, α = 90.00°, β = 90.00° and γ = 90.00°. Symmetry generates all atoms from K at (0.0000, 0.5000, 0.0000), Be at (0.0000, 0.0000, 0.0000), Si at (0.0000, 0.0000, 0.5000) and Sn at (0.5000, 0.5000, 0.5000).

=====

1.
The following is a DFT calculation (PBEsol) of crystalline BeZnBr2 at its relaxed geometry.

```
8
Lattice="-4.261 -3.861 3.174 0.664 -1.084 -6.444 6.336 -0.772 1.551" Properties=species:S:1:pos:R:3 pbc="T T T"
Be 2.787 -2.781 1.139
Be 3.500 -0.928 -2.447
Zn -0.049 -2.937 -2.858
Zn 0.000 0.000 0.000
Br -2.575 -3.976 -0.224
Br 3.563 -1.277 -0.272
Br 3.718 -2.937 -3.324
Br 0.771 -3.244 0.382
```

Results
Space-group type: I-42d
Energy relative to the elements, uncorrected (meV/atom): -275
Raw total energy (eV per atom): -2.6056
Total magnetization (μB per formula unit): 0.0
Energy above the most stable polymorph in this dataset (meV/atom): 35.7

=====

2.
The following is a DFT calculation (PBEsol) of crystalline La2MoI2 at its relaxed geometry.

```
5
Lattice="6.047 0.003 -0.004 -2.964 5.271 0.004 2.964 1.805 4.952" Properties=species:S:1:pos:R:3 pbc="T T T"
I 1.121 2.883 3.414
I -1.121 4.193 1.542
Mo 0.000 0.000 0.000
La 3.024 1.770 1.237
La 3.024 5.308 3.715
```

Results
Space-group type: I4/mmm
'''

Hi Everybody!

It's the middle of the week already, where does the time go?

For Art Journal Journey I have an A3 mixed media page. The central part is a photo from the early 1940's, which I enlarged and digitally altered. I love the way they are both looking hopeful, but somehow serious, perhaps wondering what their future would be. They were Jewish, and lived in Hungary, and from there they fled through various countries, trying to find a safe haven from the Nazis. I asked Leah what happened to her husband, she just said, 'They took him'. And he never came back. Lea survived, married again after the war and lived here. I looked after her for her last couple of years in the old people's home. She never wanted to speak of her terrible experiences, but always smuggled food into her room and hid it in a suitcase in her wardrobe, together with a few essentials, so she would have something if she ever needed to flee again. 

For Wen's neutrals I altered a photo:

This is the tag made for Tag Tuesday, where our theme  was shadows/reflections:

I think the blackbird was trying to pretend that he wasn't interested in the food:

But then he thought better of it:

And the pigeons were sitting on their branch this morning waiting for me to put out their food:

We've had a lot of rain, so the Rhine is full:

Have a good day you all, take care,
and thanks a lot for coming by!

Monday 1 February 2016

music, romance and more

Hi Everybody!

Today is multiple challenge day - Art Journal Journey, TIOT, Elizabeth's 2nd on the 2nd and Elizabeth's Tea Stands for Tuesday. It's Tag Tuesday, too, but I will show my tag another time.

At TIOT our new challenge is 'a fine romance' - Hmm, Valentine's Day seems to be coming nearer.....Projects of all formats are allowed, and you have 2 weeks to start thinking of romance and to join in our theme. You can find more inspiration on our blog. I have made a hybrid piece using a photo of the Rhine at sunset, with an added frame and some digital images from Freubel's Freebies. I am also linking to Art Journal Journey - if music be the food of love.

For Elizabeth's TSFT and 2nd on the 2nd I am re-showing a journal page made last year, all about chocolate, as that fits the TSFT theme. Here a big hello to all the T Gang. The page was made with a magazine cut out - Milka is a famous brand of choccie over here - a stenciled clock and quote, and some fine colour spray.

And to keep in theme, here is my drink today - cappuccino, served this time in one of my Mum's precious bone-china cups. As kids we were never allowed to use them, perhaps that's why they survived, and I very rarely use them either.

And here is my fave chocolate biscuit, with lots of delicious, creamy chocolate:

Here it is undressed - go on, take a bite, you know you want to!

The photos show the Rhine at sundown:

This cutie visited me again:

And I love this winter-flowering tree:

And I always have fun playing with my long legged shadow, who likes to stick with me when the weather is fine, but always stays home when it rains.

Have a great day you all, take care,
and thanks a lot for coming by!

New Challenge at Art Journal Journey

Hi Everybody!

Today we are starting a new challenge at

'If Music be the food of love....'

Our hostess for the month is the lovely Hazel.

This theme gives you a wide scope - music, love, things you love and cherish,
or of course, a combination of all of them. Let your imagination run riot, think of something that makes you want to burst into song, 
and then link your creations to us.

-- Next to the text, the page also holds calculated crystals --
=====
<P>
TiSiNi6 | PBE | relaxed

Properties
- total moment (μB per formula unit) = 0.00
- ρ (Mg/m³) = 7.90

Unit cell a=7.098 b=10.084 c=10.062 alpha=90.00 beta=90.00 gamma=90.00
Space group Cmmm (No. 65)
Inequivalent atoms, fractional coordinates:
Ti (0.000, 0.000, 0.249) x4
Ti (0.000, 0.243, 0.500) x4
Si (0.000, 0.241, 0.000) x4
Si (0.000, 0.500, 0.249) x4
Ni (0.000, 0.000, 0.000) x2
Ni (0.000, 0.000, 0.500) x2
Ni (0.000, 0.250, 0.245) x8
Ni (0.000, 0.500, 0.000) x2
Ni (0.000, 0.500, 0.500) x2
Ni (0.245, 0.375, 0.122) x16
Ni (0.245, 0.376, 0.372) x16

***

<Q>
TiSiNi6 | PBE | relaxed

Properties
- total moment (μB per formula unit) = 0.00
- ρ (Mg/m³) = 6.15

Unit cell a=4.7940 b=4.7940 c=17.4186 alpha=90.00 beta=90.00 gamma=120.00
Space group R-3m (No. 166, hexagonal axes)
Inequivalent atoms, fractional coordinates:
Ti (0.0000, 0.0000, 0.0000) x3
Si (0.0000, 0.0000, 0.5000) x3
Ni (0.0076, 0.5038, 0.9321) x18

***

Result of the stability comparison: <Q> is the least stable of them.

***

<P>
Tl2SiNi | PBE | relaxed

Properties
- total moment (μB per formula unit) = 0.00
- ρ (Mg/m³) = 9.93

Unit cell a=3.856 b=5.211 c=8.246 alpha=90.00 beta=90.00 gamma=90.00
Space group Immm (No. 71)
Inequivalent atoms, fractional coordinates:
Tl (0.000, 0.000, 0.233) x4
Si (0.000, 0.500, 0.000) x2
Ni (0.000, 0.500, 0.500) x2

***

<Q>
Tl2SiNi | PBE | relaxed

Properties
- total moment (μB per formula unit) = 0.00
- ρ (Mg/m³) = 9.23

Unit cell a=3.159 b=4.427 c=12.744 alpha=90.00 beta=90.00 gamma=90.00
Space group Imm2 (No. 44)
Inequivalent atoms, fractional coordinates:
Tl (0.000, 0.000, 0.000) x2
Tl (0.000, 0.500, 0.199) x2
Si (0.000, 0.000, 0.375) x2
Ni (0.000, 0.500, 0.747) x2

***

<R>
Tl2SiNi | PBE | relaxed

Properties
- total moment (μB per formula unit) = 0.00
- ρ (Mg/m³) = 10.18

Unit cell a=3.166 b=3.166 c=8.065 alpha=90.00 beta=90.00 gamma=90.00
Space group P4/mmm (No. 123)
Inequivalent atoms, fractional coordinates:
Tl (0.000, 0.000, 0.216) x2
Si (0.500, 0.500, 0.500) x1
Ni (0.500, 0.500, 0.000) x1

***

<S>
Tl2SiNi | PBE | relaxed

Properties
- total moment (μB per formula unit) = 0.00
- ρ (Mg/m³) = 9.26

Unit cell a=4.451 b=4.451 c=17.946 alpha=90.00 beta=90.00 gamma=90.00
Space group I-42d (No. 122)
Inequivalent atoms, fractional coordinates:
Tl (0.230, 0.250, 0.125) x8
Si (0.000, 0.000, 0.500) x4
Ni (0.000, 0.000, 0.000) x4

***

Result of the stability comparison: <S> is the least stable of them.

***

<P>
TlSiNi3 | PBE | relaxed

Properties
- total moment (μB per formula unit) = 0.00
- ρ (Mg/m³) = 8.64

Unit cell a=4.281 b=4.281 c=4.281 alpha=90.00 beta=90.00 gamma=90.00
Space group Pm-3m (No. 221)
Inequivalent atoms, fractional coordinates:
Tl (0.000, 0.000, 0.000) x1
Si (0.500, 0.500, 0.500) x1
Ni (0.000, 0.500, 0.500) x3

***

<Q>
TlSiNi3 | PBE | relaxed

Properties
- total moment (μB per formula unit) = 0.00
- ρ (Mg/m³) = 6.47

Unit cell a=4.715 b=4.715 c=4.715 alpha=90.00 beta=90.00 gamma=90.00
Space group Pm-3m (No. 221)
=====

I have made an A3 mixed media page, pasted with vintage book pages, hand-written texts and some tissue tape, and then washed over with gesso. I drew the face with a permanent marker, and then coloured her with water colours and gelatos. Her ear looks like the dog chewed it, but never mind, I gave her bright and colorful hair to make up for it.  I am also linking to 99 faces.

Yesterday morning:

Today -  what a difference a day makes!

Hope your day is great, whatever the weather!
Take care, and thanks a lot for coming by!